Thursday, May 22, 2008

The Usual.

Not much has been going on. We have had beautiful weather and Mommy has been very busy with various things, so she hasn't really gotten the video camera out in a while. My trick training has also fallen on the wayside, but today she picked up the clicker again. I was doing my usual barking, because I know how much humans love my bark. For some reason she wouldn't click.

So I tried other things. My favorite is to lay down. I don't just lay down, I THROW myself down! Mommy clicked the down a few times. Eventually I noticed she was clicking when I put my head on the floor. We didn't get any really great results, because Mommy wanted to keep the session short, but she said we will do it again tomorrow. I got to play with my wonderful tennis toy. The one I only get to play with after training sessions, check out earlier post.

Anyway that is all for now. It is storming and I had my tail smashed in the door, so I am gonna sleep on the couch and pout. Bye!


 Ellie's Owner said...

    A beagle barking? That sounds about right. :)

    Go on, get back into trick-training. You know you love it...

    May 23, 2008 12:09 AM

Blogger Penny & Poppy said...

    We would pout too, if our tails were smooshed in the door!

    Poppy & Penny

    May 23, 2008 7:08 AM

Blogger Rascally Jack a.k.a. Jackal said...

    Thanks for the comments guys. Yes it was quite painful, but Mommy didn't mean to. And yes barking is my favorite trick!

    May 24, 2008 4:56 PM

Blogger Kess & Her Mama said...

    Hi Jackal, Came over from Dogs with Blogs. Tricks for treats is my motto!

    June 1, 2008 9:39 PM

Friday, May 16, 2008

Good News!

I barely even noticed my discomfort today! I had lots of fun outside with Daddy and my sisters. So if your Mommy tricks you into this neuter thing, not to worry. You will be fine by the next day.

I supervised while Daddy picked up sticks from around the yard so that he could mow. I look so handsome in this picture, click for a closeup. I also spent lots of time playing with Stormy.

But when she had had enough, I left her alone so she could chew on a stick.

You don't mess with Stormy! Look at those teeth!

Also played with my Boer goat sisters, Julie and Sophie. Figured I would add a picture of them, since you have never met them officially. They are so fun to chase!

Look at silly Sophie trying to reach the leaves.

An interesting discovery was made today by yours truly! This weird looking bird is called a roadrunner and he lives in our neighborhood. He was playing on top of the shed. Isn't he cool??

Thursday, May 15, 2008

Neuter is BAD!

**Next to the article, the page also holds crystal structures**
-- begin --
Record 1
Structure and computed powder diffraction line list of TbZn6Cd6 (a GGA-PBE-relaxed structure; Cu Ka).

Atomic structure:
```
TbZn6Cd6
1.0
-2.792 4.659 4.748
2.792 -4.659 4.748
2.792 4.659 -4.748
Tb Zn Cd
1 6 6
Cartesian
0.000 0.000 0.000
1.396 2.329 -2.374
1.396 -2.329 2.374
2.792 0.000 2.152
-1.396 2.329 2.374
1.396 2.329 2.374
0.000 4.659 2.595
2.792 1.830 0.000
0.000 3.219 0.000
0.000 0.000 3.275
0.000 6.098 0.000
0.000 0.000 6.220
0.000 2.828 4.748
```

Largest 10 diffraction maxima, by angle, 2θ from 10° to 90°:
d [Å]	two_theta	I_rel
2.792	32.06	41
2.753	32.52	32
2.714	33.00	68
2.407	37.37	51
2.395	37.56	33
2.372	37.94	100
2.356	38.19	82
2.329	38.65	24
2.138	42.27	58
1.367	68.65	27

=====

Record 2
Structure and computed powder diffraction line list of La2Y4HoSc (a GGA-PBE-relaxed structure; Cu Ka).

Atomic structure:
```
La2Y4HoSc
1.0
5.059 0.000 0.000
0.000 5.080 0.000
0.000 0.000 10.091
La Y Ho Sc
2 4 1 1
Cartesian
0.000 0.000 0.000
2.529 2.540 5.046
0.000 2.540 2.477
0.000 2.540 7.614
2.529 0.000 2.487
2.529 0.000 7.604
0.000 0.000 5.046
2.529 2.540 0.000
```

Largest 10 diffraction maxima, by angle, 2θ from 10° to 90°:
d [Å]	two_theta	I_rel
2.922	30.59	100
2.540	35.33	17
2.526	35.54	33
1.791	50.98	23
1.786	51.14	12
1.530	60.50	14
1.526	60.71	14
1.523	60.84	13
1.461	63.69	12
1.163	83.06	6

=====

Record 3
Structure and computed powder diffraction line list of Ag5O2F2 (a GGA-PBE-relaxed structure; Cu Ka).

Atomic structure:
```
Ag5O2F2
1.0
-7.434 2.980 3.174
7.434 -2.980 3.174
7.434 2.980 -3.174
Ag O F
10 4 4
Cartesian
1.221 1.485 0.000
6.212 1.485 0.000
9.349 1.494 -0.008
5.518 -1.486 3.166
3.717 1.968 1.585
1.915 4.465 -0.008
-1.915 1.486 3.166
1.221 1.495 3.174
6.212 1.495 3.174
3.717 1.012 4.759
1.680 2.957 1.583
5.754 2.957 1.583
-1.680 3.003 1.583
1.680 0.023 4.756
3.717 -0.441 1.575
0.000 0.000 1.590
7.434 0.000 1.590
11.150 0.441 1.575
```

Largest 10 diffraction maxima, by angle, 2θ from 10° to 90°:
d [Å]	two_theta	I_rel
3.717	23.94	31
3.174	28.12	32
2.980	29.99	77
2.919	30.63	33
2.660	33.70	100
2.414	37.25	88
2.325	38.73	28
2.172	41.57	65
1.876	48.54	60
1.423	65.61	40

=====

Record 4
Structure and computed powder diffraction line list of K3Zn2Cl2F5 (a GGA-PBE-relaxed structure; Cu Ka).

Atomic structure:
```
K3Zn2Cl2F5
1.0
-2.137 2.137 11.676
2.137 -2.137 11.676
2.137 2.137 -11.676
K Zn Cl F
3 2 2 5
Cartesian
0.000 0.000 0.000
0.000 0.000 3.896
0.000 0.000 19.456
0.000 0.000 9.647
0.000 0.000 13.705
0.000 0.000 7.255
0.000 0.000 16.096
2.137 0.000 1.968
2.137 0.000 9.708
0.000 0.000 11.676
0.000 2.137 1.968
0.000 2.137 9.708
```

Largest 10 diffraction maxima, by angle, 2θ from 10° to 90°:
d [Å]	two_theta	I_rel
5.838	15.18	33
4.205	21.13	45
3.153	28.30	44
3.023	29.55	100
2.630	34.09	73
2.137	42.28	86
1.946	46.68	20
1.659	55.39	33
1.511	61.34	25
1.439	64.79	26

=====

Record 5
Structure and computed powder diffraction line list of CaNdMg17 (a GGA-PBE-relaxed structure; Cu Ka).

Atomic structure:
```
CaNdMg17
1.0
-- stop --

Okay pups! I just found out. Neuter is a VERY bad word! Mommy woke me up really early this morning, even though I was all stretched out and comfy on the bed. She gave me a bath. Then she put me in my crate in the car. Then she took me to the vet. I was excited, but not too anxious. Then she LEFT me!

I took a nap and woke up in a cold cage, feeling very sore down below. Mommy didn't pick me up until after work time. Then she took me home. I'm still sore. Please don't let your mommies take you in for a neuter. They are very bad.

<<<
(1)
Computed powder diffraction line list
Compound: La3Pm5Sc2
Radiation: Cu Ka
Structure: the GGA-PBE geometry in Alexandria

Structural model:
a b c (Å): 9.539 9.539 9.526
angles (deg): 109.36 109.36 109.54
Fractional coordinates of all 20 atoms:
La: 0.023 0.277 0.055
La: 0.229 0.771 0.750
La: 0.277 0.023 0.555
La: 0.723 0.977 0.445
La: 0.771 0.229 0.250
La: 0.977 0.723 0.945
Pm: 0.026 0.974 0.750
Pm: 0.147 0.381 0.766
Pm: 0.275 0.725 0.250
Pm: 0.381 0.147 0.266
Pm: 0.473 0.527 0.250
Pm: 0.527 0.473 0.750
Pm: 0.619 0.853 0.734
Pm: 0.725 0.275 0.750
Pm: 0.853 0.619 0.234
Pm: 0.974 0.026 0.250
Sc: 0.232 0.468 0.452
Sc: 0.468 0.232 0.952
Sc: 0.532 0.768 0.048
Sc: 0.768 0.532 0.548

The 10 most intense peaks (15° ≤ 2θ ≤ 90°), in order of rising 2θ:
- 22.82°, d = 3.897 Å, I = 14.1
- 30.36°, d = 2.944 Å, I = 100.0
- 32.53°, d = 2.752 Å, I = 30.4
- 36.46°, d = 2.464 Å, I = 13.0
- 38.29°, d = 2.350 Å, I = 10.0
- 46.61°, d = 1.949 Å, I = 11.4
- 49.62°, d = 1.837 Å, I = 15.3
- 56.65°, d = 1.625 Å, I = 8.9
- 66.80°, d = 1.400 Å, I = 10.0
- 66.89°, d = 1.399 Å, I = 9.4

=====

(2)
Computed powder diffraction line list
Compound: LaPm4Sc
Radiation: Cu Ka
Structure: the GGA-PBE geometry in Alexandria

Structural model:
a b c (Å): 6.152 3.628 8.862
angles (deg): 90.00 90.70 90.00
Fractional coordinates of all 6 atoms:
La: 0.000 0.000 0.000
Pm: 0.166 0.500 0.336
Pm: 0.339 0.000 0.677
Pm: 0.661 0.000 0.323
Pm: 0.834 0.500 0.664
Sc: 0.500 0.500 0.000

The 10 most intense peaks (15° ≤ 2θ ≤ 90°), in order of rising 2θ:
- 30.26°, d = 2.954 Å, I = 52.3
- 30.39°, d = 2.942 Å, I = 100.0
- 30.65°, d = 2.917 Å, I = 49.0
- 35.03°, d = 2.561 Å, I = 68.4
- 35.74°, d = 2.512 Å, I = 32.0
- 50.66°, d = 1.802 Å, I = 23.2
- 51.17°, d = 1.785 Å, I = 23.7
- 59.83°, d = 1.546 Å, I = 28.4
- 60.06°, d = 1.540 Å, I = 14.3
- 60.30°, d = 1.535 Å, I = 14.1

=====

(3)
Computed powder diffraction line list
Compound: LaPm5Sc3
Radiation: Cu Ka
Structure: the GGA-PBE geometry in Alexandria

Structural model:
a b c (Å): 9.359 9.359 9.649
angles (deg): 120.43 120.43 75.29
Fractional coordinates of all 18 atoms:
La: 0.225 0.225 0.051
La: 0.775 0.775 0.949
Pm: 0.121 0.615 0.265
Pm: 0.252 0.252 0.416
Pm: 0.254 0.746 0.000
Pm: 0.270 0.270 0.767
Pm: 0.385 0.879 0.735
Pm: 0.615 0.121 0.265
Pm: 0.730 0.730 0.233
Pm: 0.746 0.254 0.000
Pm: 0.748 0.748 0.584
Pm: 0.879 0.385 0.735
Sc: 0.000 0.000 0.000
Sc: 0.013 0.013 0.355
Sc: 0.496 0.496 0.178
Sc: 0.500 0.500 0.500
Sc: 0.504 0.504 0.822
Sc: 0.987 0.987 0.645

The 10 most intense peaks (15° ≤ 2θ ≤ 90°), in order of rising 2θ:
- 22.03°, d = 4.035 Å, I = 77.1
- 28.72°, d = 3.108 Å, I = 27.1
- 29.00°, d = 3.079 Å, I = 52.4
- 29.61°, d = 3.017 Å, I = 61.0
- 31.30°, d = 2.858 Å, I = 100.0
- 32.76°, d = 2.734 Å, I = 86.5
- 33.13°, d = 2.704 Å, I = 52.6
- 35.20°, d = 2.549 Å, I = 66.9
- 39.78°, d = 2.266 Å, I = 41.9
- 40.10°, d = 2.249 Å, I = 44.2

=====

(4)
Computed powder diffraction line list
Compound: La6Pm8Sc
Radiation: Cu Ka
>>>

Anyway Mommy told me I needed to get squirrels on my brain because squirrel season is about to open. Here is a picture of our objective.

Friday, May 9, 2008


It's been a little busy around here, so sorry I haven't written. There are a few things I would like to mention.

First and foremost I caught a baby bunny the other day. Mommy was sad that I killed it, but she couldn't be mad at me. I am a hunting dog after all! She doesn't know for sure if I killed it myself or if I stole it from Storm or Gray Kittie, but I'm not telling. My little secret.

Secondly Mommy and Daddy took me to the local park and we went for an hour and a half long walk. I saw two dachshunds, a beagle, bikers and a family with a baby carriage. Now THAT was a terrifying experience! Why would they push that thing around. It looked dangerous!

Mommy has been taking me on one and a half to two mile walks everyday. Sometimes she rides her bike, but we can't go far because even going slow with Storm trotting I am having to run the whole time. On these walks I have met several horses. They are scary but I am sooooo curious about them!

I am now reliably laying down for voice command and/or hand signal. I have also learned a new trick. It is called 'turn around' where I spin to my right. I am almost to the point where I can do it without the lure. Mommy has slowly phased it out, but not completely. She tried to teach me to give my paw today but I was having none of it. We both finally got frustrated and called it quits.

I have also learned that I love the water. After our walks Storm likes to get her feet wet to cool down some in the kiddie pool Mommy bought. I love to get ALL of me wet. It is so much fun!!

The only other bit of news is something is happening on the 15th called a 'neuter'. Not sure what that is about, but Mommy sure seems eager to get it out of the way. I'll let you know when it is over if you need to fear this word or not.

Well gotta go take a puppy nap. See you guys later.


 Crikit, Sparky & Ginger said...

What comes next are materials data, not part of the text:
For CsInSnH, a crystal structure in Alexandria, relaxed with PBE gives the calculated XRD peak list in this record (Cu Ka).
No peak broadening, texture or thermal motion is included.

Cell and atoms:
```
data_CsInSnH
_chemical_formula_sum 'Cs4 In4 Sn4 H4'
_symmetry_space_group_name_H-M 'F m m 2'
_symmetry_Int_Tables_number 42
_symmetry_space_group_name_Hall 'F 2 -2'
_cell_length_a 5.6272
_cell_length_b 5.6493
_cell_length_c 14.6476
_cell_angle_alpha 90.00
_cell_angle_beta 90.00
_cell_angle_gamma 90.00
loop_
_atom_site_label
_atom_site_type_symbol
_atom_site_fract_x
_atom_site_fract_y
_atom_site_fract_z
Cs1 Cs 0.0000 0.0000 0.0000
In1 In 0.0000 0.0000 0.2901
Sn1 Sn 0.0000 0.0000 0.7053
H1 H 0.0000 0.0000 0.4185
```

Main lines, low angle first (2θ from 15° to 90°):
2θ/deg  I_rel
24.3  26
28.9  100
31.7  30
31.8  29
40.3  13
40.4  13
45.5  22
49.2  32
54.7  17
54.9  16


For CsH3Ir, a crystal structure in Alexandria, relaxed with PBE gives the calculated XRD peak list in this record (Cu Ka).
No peak broadening, texture or thermal motion is included.

Cell and atoms:
```
data_CsH3Ir
_chemical_formula_sum 'Cs8 H24 Ir8'
_symmetry_space_group_name_H-M 'C m c e'
_symmetry_Int_Tables_number 64
_symmetry_space_group_name_Hall '-C 2ac 2'
_cell_length_a 12.3292
_cell_length_b 8.8429
_cell_length_c 5.4114
_cell_angle_alpha 90.00
_cell_angle_beta 90.00
_cell_angle_gamma 90.00
loop_
_atom_site_label
_atom_site_type_symbol
_atom_site_fract_x
_atom_site_fract_y
_atom_site_fract_z
Cs1 Cs 0.2500 0.1137 0.2500
H1 H 0.0000 0.0225 0.1689
H2 H 0.0729 0.2039 0.6496
Ir1 Ir 0.0000 0.1709 0.9264
```

Main lines, low angle first (2θ from 15° to 90°):
2θ/deg  I_rel
20.5  41
24.8  29
29.0  69
29.9  100
35.4  77
36.3  44
41.2  48
51.2  26
51.9  21
63.3  28


For Cs3H9Ir2, a crystal structure in Alexandria, relaxed with PBE gives the calculated XRD peak list in this record (Cu Ka).
No peak broadening, texture or thermal motion is included.

Cell and atoms:
```
data_Cs3H9Ir2
_chemical_formula_sum 'Cs6 H18 Ir4'
_symmetry_space_group_name_H-M 'P 63/m m c'
_symmetry_Int_Tables_number 194
_symmetry_space_group_name_Hall '-P 6c 2c'
_cell_length_a 6.3472
_cell_length_b 6.3472
_cell_length_c 15.5928
_cell_angle_alpha 90.00
_cell_angle_beta 90.00
_cell_angle_gamma 120.00
loop_
_atom_site_label
_atom_site_type_symbol
_atom_site_fract_x
_atom_site_fract_y
_atom_site_fract_z
Cs1 Cs 0.0000 0.0000 0.2500
Cs2 Cs 0.3333 0.6667 0.0872
H1 H 0.0844 0.5422 0.7500
H2 H 0.2213 0.4426 0.6004
Ir1 Ir 0.3333 0.6667 0.6686
```

Main lines, low angle first (2θ from 15° to 90°):
2θ/deg  I_rel
16.1  18
17.1  25
23.6  22
28.1  100
33.0  27
43.9  25
49.8  25
52.9  21
58.1  10
61.0  13


For CsH6IrPb, a crystal structure in Alexandria, relaxed with PBE gives the calculated XRD peak list in this record (Cu Ka).
No peak broadening, texture or thermal motion is included.

Cell and atoms:
```
data_CsH6IrPb
_chemical_formula_sum 'Cs1 H6 Ir1 Pb1'
_symmetry_space_group_name_H-M 'P 3 m 1'

    Jackal! SG! we sniffed over to give you some big welcome licks. we far behind welcoming new DWBr's Bet you really growing Jackal need more pics

    waggin TX tails barking loud lot of the time

    pee ess: Happy Mother's Day to the mommies

    May 11, 2008 1:07 PM

Blogger Charlie Daniels said...

    G'day Jackal

    I just wandered over to say hello. I hope you didn't get in too much trouble for catching that bunny.



    May 13, 2008 9:38 PM

Sunday, May 4, 2008

Big Sister

I want to grow up to be just like my sister. Check out this video!